Hiring a Home Inspector

A CMHC document titled Hiring a Home Inspector posted at:

http://www.cmhc-schl.gc.ca/en/co/buho/buho_001.cfm is also being circulated to home inspectors.

Below is a sample letter in protest and encourage all to participate.

To: media@cmhc-schl.gc.ca

Re: Hiring a Home Inspector

[FONT=Arial]Dear Kristen or Julie,[/FONT]

[FONT=Arial]Kristen Scheel
Media Relations Officer
Julie Girard
Media Relations Officer

As a Home Inspector and customer of CMHC, I was quite dismayed that included with my last order was a pamphlet entitled “Hiring a Home Inspector” wherein your Corporation endorsed one specific trade association.

*As a taxpayer, CMHC customer and a certified Canadian home inspector, I was shocked to read that CMHC would align itself in recommending one trade association over another. *

*There is another association of Professional Home Inspectors in Canada, the National Association of Certified Home Inspectors (NACHI) with over 600 Canadian members from coast to coast and over 9900 members nationally. *

By being a member of this association, we are subscribing to a stringent Code of Ethic, Standards of Practice, and ongoing educational requirements.

Your article on the topic makes us sound like we shouldn’t be in business nor deserve consumer’s confidence.

As a Canadian taxpayer, I find that a government-funded corporation’s use of MY tax dollars being used to malign an organization to which I belong to & which adheres to a strict code of ethics & standards of practice is unfair.

CMHC should not be recommending one association but rather all Canadian Associations.

*I am requesting that you immediately consider altering your website and documents relating to “Hiring a Home Inspector” *

Thank you.

Great Thanks for the info … Cookie

Great letter Marcel

Thanks for the “heads up”

Mr. Lloyd President of OAHI and Secretary of CAHPI has informed members to go to -

http://www.cmhc-schl.gc.ca/en/col/buho/buho 001.cfm

Mr. Lloyd states that CAHPI is mentioned promenently at the CMHC site. Further he is alleged to have posted, "The half hour accreditation association’s members are planning a letter writing campagn of protest. No doubt it will be the 2 or 3 members who know all that will be the only letters that are sent."

This is yet another example of Mr. Lloyd abusing his positions. He has long been on record as an outspoken critic of Nachi and has used his position and CAHPI-OAHI resources to do it. His alleged post also runs contrary to the CAFE forum rules!

Mr. Lloyd paints with a very wide paint brush as we know there are many dual member of Nachi who are also members of CAHPI-OAHI.

Before Mr. Lloyd throws rocks and insults I think he should resign. After all this person has illegal disposed of Mr. Allen contrary to the established rules of which he is very familiar (supposedly), nor has he been able to account for the financial irregularities as per his fiduciary duties.

Mr. Lloyd needs to be held accountable for his lack of leadership, direction and his obvious bias in his statements. I guess this explains the ignorant and negligent attitude with Mr. Lloyd and his posse denying members rights they have no business denying.

Claude why is it that the people around you are incompetent and continually prove they love to power trip?

Yes I think we should all prove Mr. Lloyd wrong and send a letter to CMHC.

I also think CAHPI-OAHI should follow its own rules and expunge the post of a zealot. This is the same group that removed a months worth of posts from the CAHPI-OAHI site to silence its critics. Mainly Cam Allens side of the story and the call for a full forensic audit. Mr. Lloyd seem earger to keep the skeletons which he help create from public view and membership accountability. There sure are a lot of eager conspirators in CAHPI-OAHI.

Mr. Lloyd why hasn’t your BOD and Committees explained to the members about the serious financial irregularites?


I would also strongly suggest that in addition to sending your letters to
Kristen Scheel, Julie Girard, you also CC

**Mr. Douglas Stewart
Vice President of Policy and Planning

Mr. Ken Ruest
Senior Researcher
Policy and Research
Mr. Stewart and Mr. Ruest are aware of the statements coming out of CAHPI-OAHI/National spokespeople of record.

Letter sent!


Maybe collectively we CAN affect change!!!


It would also be a good idea to send this to your local MP. It is time we got this ball rolling and getting the political branch motivated is the fastest way to obtain change at C.M.H.C…

Mr. Lloyd President of CAHPI-OAHI, CAHPI-National Secretary has been kind enough to post the following…

Prefacing the NAHI statement is the opinion of Mr. Lloyd:

Post remarks as stated by Mr. Lloyd:

Claude, I think you have a problem. Mr. Lloyd clearly cannot follow the rules. First it was his complete contempt for the by-laws by throwing out Mr. Allen, ensuring a months worth of posts were removed, now he thumbs his nose at the CAFE forum rules to show just how incompetent he is. Clearly Mr. Lloyd has issues and known biases given his positions and he is in a conflict of ineterest. Has he declared his negative bias attitudes towards Nachi members before assuming his role as Secretary of CAHPI-National?

Amazingly Mr. Lloyd has picked up my contacts at CMHC and provided them to CAHPI-OAHI members. Wants the members to send CMHC letters of congratulations for doing a good job at promoting CAHPI. The only problem is CMHC didn’t recommend CAHPI only that it was responsible for putting the National together.

Mr. Lloyd goes on to state the following:

Amazingly Mr. Lloyd has picked up my contacts at CMHC and provided them to CAHPI-OAHI members. Wants the members to send CMHC letters of congratulations for doing a good job at promoting CAHPI. The only problem is CMHC didn’t recommend CAHPI only that it was responsible for putting the National together.

Mr. Lloyd goes on to state the following:

This is hilarious, this from the same person who has as President denied me my rights. Just like he did with Mr. Allen.

Given Mr. Lloyd is on the NCA can we really trust him given his propensity to thwart the by-laws and bring with him his animosities?

Amazingly Mr. Lloyd has picked up my contacts at CMHC and provided them to CAHPI-OAHI members. Wants the members to send CMHC letters of congratulations for doing a good job at promoting CAHPI. The only problem is CMHC didn’t recommend CAHPI only that it was responsible for putting the National together.

Mr. Lloyd goes on to state the following:

This is hilarious, this from the same person who has as President denied me my rights. Just like he did with Mr. Allen.

Given Mr. Lloyd is on the NCA can we really trust him given his propensity to thwart the by-laws and bring with him his animosities?


Mr. Lloyd here is some additional info you may find useful. You see, the facts aren’t as you have portrayed them.


I do hope OAHI soon gets their Money problem settled .
When two yes Two Financial sectaries quit in mid term and one writes a paper like the white paper it is obvious some one is trying to hide some thing when they refuse to have a proper audit.
Some time in the future we all should be able to help one another instead of the way it is now.
It is inevitable for OAHI too survive they must get the internal strife fixed.

Mr. Lloyd is trying to tell the members the virtues of following the by-laws, policy and procedures. I guess he should know considering his conflicts of interest seem to be the furthest thing from his mind.

Heres is an idea, Mr. Lloyd rather than boring your members with more of your embellished facts maybe you should come here to the Nachi site and debate the facts as told by me which you take issue with.

And please stop getting someone else to write your replies, their spelling is really bad. :wink:

Is that right? Well Mr. Lloyd you should brush up on legal renderings on that issue. Policy does not trump by-laws. The by-laws are quite clear as to the options as to recall of a director.

This is not the first time you have used underhanded tactics to achieve your wants. You did the same thing with reporting us of those who have the right to use CHI. You were proven wrong on that issue because your pigheadness refuses you to recognize your legal requirements. Now you should come clean about my membership upgrade refusal contrary to the by-laws and in contravention of OAHI solicitors.

Don’t try and paint me as the vilian in your attempt to exonerate your involvement in mismanagement. Hypocrite!

Tom get your facts straight. If you are going to get Dave Bottoms to right your replies make sure you get the facts right between the two of you.

Firstly I am not a CMI, and fail to see the comparison you are trying to draw.

As to the Financial matters of CAHPI-OAHI I find your pleadings that they are in order very strange indeed. Given that CAHPI-OAHI has no Treasurer but a temporary one, and I don’t think you should be going out on a limb and stating that the accountantss are satisfied with the books.

Now why don’t you go brush up on your by-laws with what you can and cannot do, and provide me an answer to my rights to a hearing and membeship upgrading have been denied contrary to the rules you keep telling everyone you and the Board are following.

Come on Tom you will have to do better at explaining your position given your repeated abuses of the bylaws.

Boy I am glad I was able to send out Mr. Lloyds comments to the OAHI lawyer and CMHC.

Even Bill Mullen had his rights trampled on by Mr. Lloyd. I wonder who is next?

********
[1]
Compound: TlSn2Br5
Source: the Materials Project
Functional: PBE-GGA
Structure: relaxed

Cell and atoms, written as POSCAR:
```
TlSn2Br5
1.0
-4.2280 4.2280 7.4395
4.2280 -4.2280 7.4395
4.2280 4.2280 -7.4395
Tl Sn Br
2 4 10
Direct
0.2500 0.2500 0.0000 Tl
0.7500 0.7500 0.0000 Tl
0.1756 0.6756 0.8512 Sn
0.3244 0.1756 0.5000 Sn
0.6756 0.8244 0.5000 Sn
0.8244 0.3244 0.1488 Sn
0.0000 0.0000 0.0000 Br
0.0269 0.2038 0.5000 Br
0.2038 0.7038 0.1769 Br
0.2962 0.4731 0.5000 Br
0.4731 0.9731 0.1769 Br
0.5000 0.5000 0.0000 Br
0.5269 0.0269 0.8231 Br
0.7038 0.5269 0.5000 Br
0.7962 0.2962 0.8231 Br
0.9731 0.7962 0.5000 Br
```

Its space group is I4/mcm (140). The value obtained for the density is 5.25 g/cm³. The raw total energy comes out at -3.129 eV per atom. The energy of formation comes out at -1.14 eV/atom.


[2]
Compound: SrBr3
Source: the Materials Project
Functional: PBE-GGA
Structure: relaxed

Cell and atoms, written as POSCAR:
```
SrBr3
1.0
6.7641 0.0000 0.0000
-3.3820 5.8578 0.0000
0.0000 0.0000 6.0243
Sr Br
2 6
Direct
0.3333 0.6667 0.2500 Sr
0.6667 0.3333 0.7500 Sr
0.1727 0.3454 0.7500 Br
0.1727 0.8273 0.7500 Br
0.3454 0.1727 0.2500 Br
0.6546 0.8273 0.7500 Br
0.8273 0.1727 0.2500 Br
0.8273 0.6546 0.2500 Br
```

Its space group is P6_3/mmc (194). The value obtained for the density is 4.55 g/cm³. The raw total energy comes out at -2.940 eV per atom. The energy of formation comes out at -1.69 eV/atom. The total magnetic moment is 0.21 μB per formula unit.


[3]
Compound: SrBr2
Source: the Materials Project
Functional: PBE-GGA
Structure: relaxed

Cell and atoms, written as POSCAR:
```
SrBr2
1.0
11.5263 0.0000 0.0000
0.0000 4.8018 0.0000
0.0000 0.0000 7.9059
Sr Br
4 8
Direct
0.1684 0.2500 0.1272 Sr
0.3316 0.7500 0.6272 Sr
0.6684 0.2500 0.3728 Sr
0.8316 0.7500 0.8728 Sr
0.1088 0.7500 0.8757 Br
0.1302 0.7500 0.3675 Br
0.3698 0.2500 0.8675 Br
0.3912 0.2500 0.3757 Br
0.6088 0.7500 0.6243 Br
0.6302 0.7500 0.1325 Br
0.8698 0.2500 0.6325 Br
0.8912 0.2500 0.1243 Br
```

Its space group is Pnma (62). The value obtained for the density is 3.76 g/cm³. The raw total energy comes out at -3.804 eV per atom. The energy of formation comes out at -2.51 eV/atom.


[4]
Compound: SrBr2
Source: the Materials Project
Functional: PBE-GGA
Structure: relaxed

Cell and atoms, written as POSCAR:
```
SrBr2
1.0
7.1663 0.0000 0.0000
0.0000 7.1663 0.0000
0.0000 0.0000 4.7157
Sr Br
2 4
Direct
0.0000 0.0000 0.0000 Sr
0.5000 0.5000 0.5000 Sr
0.1961 0.1961 0.5000 Br
0.3039 0.6961 0.0000 Br
0.6961 0.3039 0.0000 Br
0.8039 0.8039 0.5000 Br
```

Its space group is P4_2/mnm (136). The value obtained for the density is 3.39 g/cm³. The raw total energy comes out at -3.788 eV per atom. The energy of formation comes out at -2.49 eV/atom.


[5]
Compound: SrBr2
Source: the Materials Project
Functional: PBE-GGA
Structure: relaxed

Cell and atoms, written as POSCAR:
```
SrBr2
1.0
11.7513 0.0000 0.0000
0.0000 11.7513 0.0000
0.0000 0.0000 7.2638
Sr Br
10 20
Direct
0.0851 0.6041 0.2479 Sr
********
End of the crystal structures:

Any volunteers who wish to be subject to wants and whims and dictates of a zealot who can’t comprehend the rules? :wink:

Mr. Lloyd if that is the way you feel I guess you would have no problem calling for a Forensic Audit. I hope your Directors and Officers liability insurance is up to date.